Wanted
Duplicate every line further below that contains the word "meV", please.

Given
=====
Density functional theory data (GGA-PBE) for a relaxed structure of Ag2AsW.

Output
Energy   -5.030 eV/atom
Space-group type   I-42d (122)
Energy relative to the elements   0.796 eV/atom
N(E_F)   3.95 states/eV/f.u.

Cell lengths 7.559, 7.559, 5.930 Å; angles 50.40, 50.40, 90.00 degrees
Atoms (fractional coordinates):
W 0.000 0.000 0.000
W 0.750 0.250 0.500
As 0.500 0.500 0.000
As 0.250 0.750 0.500
Ag 0.607 0.125 0.250
Ag 0.875 0.857 0.750
Ag 0.375 0.393 0.750
Ag 0.143 0.625 0.250

~~~~~

Material: Ta2SbP
Method: DFT, PBE-GGA
State: relaxed

abc: 3.2103 3.2103 6.8434
angles: 90.00 90.00 90.00
Last column: nearest neighbours and their distance in Å.
Fractional coordinates of all 4 atoms:
Ta  0.0000  0.0000  0.2081  4 P 2.68, 1 Ta 2.85
Ta  0.0000  0.0000  0.7919  4 P 2.68, 1 Ta 2.85
Sb  0.5000  0.5000  0.5000  8 Ta 3.02, 4 Sb 3.21
P  0.5000  0.5000  0.0000  8 Ta 2.68

Properties
Total moment (μB per cell): 0.0
Crystal system: tetragonal
SG: No. 123
Calculated volume (Å³/atom): 17.6
Formation energy without anion corrections (meV per atom): -160.5
=====

Response
Formation energy without anion corrections (meV per atom): -160.5